_Assignment_
Your job: echo only the lines further down with the word "composition" in them.

_File_
<<<
# 1
ORCA calculation (ωB97M-V/def2-TZVPD) on 3 unconnected molecules or ions with the total composition C25H35ClF16INO4.

Calculated values
Molar mass in g mol⁻¹: 879.883
Calculated total energy in eV: -100276.5035
Frontier orbital gap in Eh: 0.3662
HOMO in eV: -9.66

Structure (XYZ):
```
83
Properties=species:S:1:pos:R:3:forces:R:3
C 1.8531 4.3920 1.2466 -0.210 0.007 -0.217
C 1.7189 3.3118 0.1482 -0.293 0.411 0.122
C 0.3039 3.2370 -0.4336 -0.175 -0.336 0.104
C 0.0550 1.9593 -1.2527 0.393 0.306 -0.098
O -0.5540 0.9619 -0.4386 -0.267 0.258 0.416
C -1.6290 0.2134 -0.9579 0.156 -0.532 -0.259
C -1.9577 -0.9138 0.0243 -0.239 -0.004 0.004
C -2.6053 -0.5739 1.3839 -0.149 0.121 0.116
C -4.1405 -0.4412 1.3217 0.090 0.030 0.352
C -1.9934 0.6289 2.1158 0.167 -0.292 0.179
C -1.1358 -0.4557 -2.2602 0.019 0.298 0.042
O -0.3415 -1.3549 -2.3357 0.187 -0.218 -0.100
N -1.6983 0.1919 -3.3496 -0.745 -0.382 0.248
C -2.9317 0.8122 -2.9628 -0.408 -0.525 -0.003
Cl -4.3452 -0.3385 -3.4140 0.400 0.368 0.152
C -2.8717 0.9996 -1.4257 -0.521 0.672 -0.372
C -2.9606 2.4836 -1.0339 -0.058 0.100 -0.419
C -4.4093 3.0027 -1.0082 0.438 0.228 0.041
C -4.4984 4.3307 -0.2480 0.266 -0.098 -0.392
I -4.8310 4.0172 1.8344 0.001 0.087 0.023
H 0.9020 4.9170 1.3903 0.103 -0.054 0.002
H 2.1236 3.9549 2.2083 0.067 0.056 -0.050
H 2.5918 5.1501 0.9793 0.018 -0.093 0.113
H 2.4108 3.5387 -0.6678 0.076 -0.271 0.091
H 1.9565 2.3349 0.5683 0.164 -0.045 -0.115
H 0.0808 4.1186 -1.0458 0.106 -0.030 0.074
H -0.4160 3.2296 0.3919 0.039 0.058 -0.062
H -0.5443 2.1802 -2.1383 0.007 -0.099 0.047
H 1.0230 1.5679 -1.5916 -0.127 -0.038 -0.132
H -1.0480 -1.4990 0.1777 0.062 0.206 -0.025
H -2.6529 -1.5725 -0.5143 0.100 -0.040 0.077
H -2.4019 -1.4413 2.0235 0.029 -0.048 -0.227
H -4.5876 -1.0768 0.5540 0.020 0.053 -0.015
H -4.4545 0.5985 1.1762 0.023 -0.117 -0.165
H -4.5687 -0.7496 2.2815 0.003 0.080 -0.091
H -0.9114 0.6414 1.9907 -0.079 0.150 -0.033
H -2.1837 0.5600 3.1921 -0.137 0.003 -0.115
H -2.4205 1.5738 1.7772 0.111 0.007 -0.096
H -1.7635 -0.3928 -4.1745 0.318 0.270 -0.202
H -3.1933 1.6995 -3.5315 0.226 0.044 0.018
H -3.7981 0.5391 -1.0778 0.387 -0.181 0.314
H -2.4633 2.6705 -0.0817 -0.140 -0.194 0.084
H -2.4163 3.0826 -1.7763 0.019 0.005 0.211
H -4.7379 3.1979 -2.0361 -0.102 -0.214 0.081
H -5.0602 2.2468 -0.5653 -0.139 0.119 -0.097
H -5.2719 4.9891 -0.6372 -0.132 -0.133 0.262
H -3.5483 4.8646 -0.3201 -0.126 -0.017 0.072
C 2.0430 -4.5432 -4.0959 -0.496 -0.325 -0.070
C 2.7277 -3.6346 -3.0621 0.282 -0.124 -0.162
C 2.5926 -2.1197 -3.2297 -0.053 0.175 0.102
F 3.1789 -1.6956 -4.3725 0.060 -0.166 -0.150
F 3.2308 -1.5183 -2.1950 -0.002 -0.031 -0.020
F 4.0274 -3.9815 -2.9269 -0.050 0.052 -0.050
F 2.1026 -3.9067 -1.8795 -0.043 -0.014 0.061
O 2.8373 -5.1112 -5.1243 0.512 0.290 0.270
C 3.0164 -4.5329 -6.3452 -0.193 -0.199 0.078
C 4.4975 -4.2443 -6.6272 0.048 -0.062 -0.032
F 5.0135 -3.4187 -5.7000 -0.077 0.094 0.069
F 4.5963 -3.6484 -7.8366 0.024 0.021 -0.027
F 2.2518 -3.4448 -6.5211 0.023 0.198 0.083
F 2.6364 -5.4400 -7.2783 -0.075 -0.021 -0.109
H 1.7276 -5.4086 -3.5154 -0.017 0.013 0.010
H 1.1395 -4.0789 -4.4913 0.096 0.172 -0.016
H 1.5443 -1.8191 -3.2199 0.018 -0.050 0.006
H 5.0606 -5.1792 -6.6335 -0.010 -0.012 -0.002
C 1.2257 -1.7544 5.1315 -0.067 -0.550 0.129
C 1.2974 -0.7882 3.9376 -0.121 0.191 0.226
C 2.6749 -0.3092 3.4651 -0.012 -0.056 -0.153
F 3.3042 0.4026 4.4178 -0.030 0.015 0.223
F 2.4970 0.4943 2.3920 0.003 0.016 -0.008
F 0.4872 0.2702 4.1425 0.109 -0.029 0.062
F 0.8029 -1.4930 2.8764 -0.022 -0.060 -0.066
O 0.8950 -1.2230 6.4014 -0.076 0.566 -0.281
C 1.8242 -0.7959 7.3048 -0.107 -0.250 -0.015
C 1.6330 0.6856 7.6587 -0.054 0.021 0.055
F 1.7305 1.4578 6.5611 0.076 -0.041 -0.112
F 2.6021 1.0476 8.5269 0.021 0.032 0.022
F 3.0804 -1.0595 6.9146 0.112 0.099 -0.142
F 1.6109 -1.4799 8.4533 0.056 -0.077 0.094
H 0.3776 -2.3961 4.8980 0.013 -0.010 -0.024
H 2.1066 -2.3955 5.1766 0.112 0.155 -0.034
H 3.2977 -1.1579 3.1707 0.001 -0.001 0.017
H 0.6545 0.8323 8.1191 -0.005 -0.011 0.004
```
>>>

_Here it is_
ORCA calculation (ωB97M-V/def2-TZVPD) on 3 unconnected molecules or ions with the total composition C25H35ClF16INO4.